## Assignment
Please duplicate all of the calculation results below without additions.

## Data
Record 1
Here is crystalline Rb6O at its relaxed geometry from the Materials Project database. Energies are from PBE-GGA.

Geometry as CIF:
```
data_Rb6O
_space_group_name_H-M_alt 'P 1'
_space_group_IT_number 1
_space_group_name_Hall 'P 1'
_cell_length_a 8.464
_cell_length_b 8.464
_cell_length_c 30.811
_cell_angle_alpha 90.00
_cell_angle_beta 90.00
_cell_angle_gamma 120.00
loop_
_atom_site_label
_atom_site_fract_x
_atom_site_fract_y
_atom_site_fract_z
Rb1 0.000 0.000 0.000
Rb2 0.000 0.000 0.500
Rb3 0.069 0.683 0.140
Rb4 0.069 0.683 0.360
Rb5 0.081 0.427 0.250
Rb6 0.317 0.386 0.140
Rb7 0.317 0.386 0.360
Rb8 0.333 0.667 0.516
Rb9 0.333 0.667 0.984
Rb10 0.346 0.919 0.250
Rb11 0.386 0.069 0.640
Rb12 0.386 0.069 0.860
Rb13 0.427 0.346 0.750
Rb14 0.573 0.654 0.250
Rb15 0.614 0.931 0.140
Rb16 0.614 0.931 0.360
Rb17 0.654 0.081 0.750
Rb18 0.667 0.333 0.016
Rb19 0.667 0.333 0.484
Rb20 0.683 0.614 0.640
Rb21 0.683 0.614 0.860
Rb22 0.919 0.573 0.750
Rb23 0.931 0.317 0.640
Rb24 0.931 0.317 0.860
O1 0.333 0.667 0.187
O2 0.333 0.667 0.313
O3 0.667 0.333 0.687
O4 0.667 0.333 0.813
```

Output
Space-group type: P6_3/m (176)

Record 2
Here is crystalline Zr3Be at its relaxed geometry from the Materials Project database. Energies are from PBE-GGA.

Geometry as CIF:
```
data_Zr3Be
_space_group_name_H-M_alt 'P 1'
_space_group_IT_number 1
_space_group_name_Hall 'P 1'
_cell_length_a 4.234
_cell_length_b 4.234
_cell_length_c 8.802
_cell_angle_alpha 90.00
_cell_angle_beta 90.00
_cell_angle_gamma 90.00
loop_
_atom_site_label
_atom_site_fract_x
_atom_site_fract_y
_atom_site_fract_z
Zr1 0.000 0.000 0.000
Zr2 0.000 0.500 0.250
Zr3 0.000 0.500 0.750
Zr4 0.500 0.000 0.250
Zr5 0.500 0.000 0.750
Zr6 0.500 0.500 0.500
Be1 0.000 0.000 0.500
Be2 0.500 0.500 0.000
```

Output
Space-group type: I4/mmm (139)

Record 3
Here is crystalline NaYI4O12 at its relaxed geometry from the Materials Project database. Energies are from PBE-GGA.

Geometry as CIF:
```
data_NaYI4O12
_space_group_name_H-M_alt 'P 1'
_space_group_IT_number 1
_space_group_name_Hall 'P 1'
_cell_length_a 16.120
_cell_length_b 16.120
_cell_length_c 12.648
_cell_angle_alpha 90.81
_cell_angle_beta 90.81
_cell_angle_gamma 20.20
loop_
_atom_site_label
_atom_site_fract_x
_atom_site_fract_y
_atom_site_fract_z
Na1 0.220 0.780 0.500
Na2 0.348 0.802 0.906
Na3 0.780 0.220 0.000
Na4 0.802 0.348 0.406
Y1 0.170 0.748 0.794
Y2 0.353 0.974 0.300
Y3 0.748 0.170 0.294
Y4 0.974 0.353 0.800
I1 0.028 0.659 0.658
I2 0.107 0.454 0.933
I3 0.142 0.624 0.386
I4 0.247 0.631 0.090
I5 0.301 0.903 0.595
I6 0.302 0.785 0.254
I7 0.454 0.107 0.433
I8 0.481 0.883 0.006
I9 0.506 0.975 0.702
I10 0.624 0.142 0.886
I11 0.631 0.247 0.590
I12 0.659 0.028 0.158
I13 0.785 0.302 0.754
I14 0.883 0.481 0.506
I15 0.903 0.301 0.095
I16 0.975 0.506 0.202
O1 0.003 0.210 0.235
O2 0.003 0.857 0.414
O3 0.007 0.037 0.837
O4 0.037 0.007 0.337
O5 0.044 0.082 0.550
O6 0.062 0.232 0.436
O7 0.069 0.879 0.163
O8 0.082 0.044 0.050
O9 0.138 0.254 0.176
O10 0.177 0.283 0.878
O11 0.210 0.003 0.735
O12 0.232 0.062 0.936
O13 0.254 0.138 0.676
O14 0.283 0.177 0.378
O15 0.283 0.283 0.055
O16 0.283 0.283 0.555
O17 0.292 0.648 0.969
O18 0.313 0.318 0.848
O19 0.318 0.313 0.348
O20 0.329 0.443 0.507
O21 0.373 0.442 0.293
O22 0.377 0.548 0.638
O23 0.417 0.769 0.329
O24 0.442 0.373 0.793
O25 0.443 0.329 0.007
O26 0.480 0.822 0.128
O27 0.507 0.620 0.601
O28 0.512 0.518 0.320
O29 0.518 0.512 0.820
O30 0.548 0.377 0.138
O31 0.596 0.722 0.447
O32 0.620 0.507 0.101
O33 0.648 0.292 0.469
O34 0.669 0.804 0.577
O35 0.687 0.741 0.790
O36 0.722 0.596 0.947
O37 0.741 0.687 0.290
O38 0.769 0.417 0.829
O39 0.782 0.830 0.240
O40 0.804 0.669 0.077
O41 0.822 0.480 0.628
O42 0.830 0.782 0.740
O43 0.831 0.953 0.221
O44 0.840 0.845 0.038
O45 0.845 0.840 0.538
O46 0.857 0.003 0.914
O47 0.879 0.069 0.663
O48 0.953 0.831 0.721
```

Output
Space-group type: Cc (9)

Record 4
Here is crystalline K2InAsI6 at its relaxed geometry from the Materials Project database. Energies are from PBE-GGA.

## Reply
Record 1
Here is crystalline Rb6O at its relaxed geometry from the Materials Project database. Energies are from PBE-GGA.

Geometry as CIF:
```
data_Rb6O
_space_group_name_H-M_alt 'P 1'
_space_group_IT_number 1
_space_group_name_Hall 'P 1'
_cell_length_a 8.464
_cell_length_b 8.464
_cell_length_c 30.811
_cell_angle_alpha 90.00
_cell_angle_beta 90.00
_cell_angle_gamma 120.00
loop_
_atom_site_label
_atom_site_fract_x
_atom_site_fract_y
_atom_site_fract_z
Rb1 0.000 0.000 0.000
Rb2 0.000 0.000 0.500
Rb3 0.069 0.683 0.140
Rb4 0.069 0.683 0.360
Rb5 0.081 0.427 0.250
Rb6 0.317 0.386 0.140
Rb7 0.317 0.386 0.360
Rb8 0.333 0.667 0.516
Rb9 0.333 0.667 0.984
Rb10 0.346 0.919 0.250
Rb11 0.386 0.069 0.640
Rb12 0.386 0.069 0.860
Rb13 0.427 0.346 0.750
Rb14 0.573 0.654 0.250
Rb15 0.614 0.931 0.140
Rb16 0.614 0.931 0.360
Rb17 0.654 0.081 0.750
Rb18 0.667 0.333 0.016
Rb19 0.667 0.333 0.484
Rb20 0.683 0.614 0.640
Rb21 0.683 0.614 0.860
Rb22 0.919 0.573 0.750
Rb23 0.931 0.317 0.640
Rb24 0.931 0.317 0.860
O1 0.333 0.667 0.187
O2 0.333 0.667 0.313
O3 0.667 0.333 0.687
O4 0.667 0.333 0.813
```

Output
Space-group type: P6_3/m (176)

Record 2
Here is crystalline Zr3Be at its relaxed geometry from the Materials Project database. Energies are from PBE-GGA.

Geometry as CIF:
```
data_Zr3Be
_space_group_name_H-M_alt 'P 1'
_space_group_IT_number 1
_space_group_name_Hall 'P 1'
_cell_length_a 4.234
_cell_length_b 4.234
_cell_length_c 8.802
_cell_angle_alpha 90.00
_cell_angle_beta 90.00
_cell_angle_gamma 90.00
loop_
_atom_site_label
_atom_site_fract_x
_atom_site_fract_y
_atom_site_fract_z
Zr1 0.000 0.000 0.000
Zr2 0.000 0.500 0.250
Zr3 0.000 0.500 0.750
Zr4 0.500 0.000 0.250
Zr5 0.500 0.000 0.750
Zr6 0.500 0.500 0.500
Be1 0.000 0.000 0.500
Be2 0.500 0.500 0.000
```

Output
Space-group type: I4/mmm (139)

Record 3
Here is crystalline NaYI4O12 at its relaxed geometry from the Materials Project database. Energies are from PBE-GGA.

Geometry as CIF:
```
data_NaYI4O12
_space_group_name_H-M_alt 'P 1'
_space_group_IT_number 1
_space_group_name_Hall 'P 1'
_cell_length_a 16.120
_cell_length_b 16.120
_cell_length_c 12.648
_cell_angle_alpha 90.81
_cell_angle_beta 90.81
_cell_angle_gamma 20.20
loop_
_atom_site_label
_atom_site_fract_x
_atom_site_fract_y
_atom_site_fract_z
Na1 0.220 0.780 0.500
Na2 0.348 0.802 0.906
Na3 0.780 0.220 0.000
Na4 0.802 0.348 0.406
Y1 0.170 0.748 0.794
Y2 0.353 0.974 0.300
Y3 0.748 0.170 0.294
Y4 0.974 0.353 0.800
I1 0.028 0.659 0.658
I2 0.107 0.454 0.933
I3 0.142 0.624 0.386
I4 0.247 0.631 0.090
I5 0.301 0.903 0.595
I6 0.302 0.785 0.254
I7 0.454 0.107 0.433
I8 0.481 0.883 0.006
I9 0.506 0.975 0.702
I10 0.624 0.142 0.886
I11 0.631 0.247 0.590
I12 0.659 0.028 0.158
I13 0.785 0.302 0.754
I14 0.883 0.481 0.506
I15 0.903 0.301 0.095
I16 0.975 0.506 0.202
O1 0.003 0.210 0.235
O2 0.003 0.857 0.414
O3 0.007 0.037 0.837
O4 0.037 0.007 0.337
O5 0.044 0.082 0.550
O6 0.062 0.232 0.436
O7 0.069 0.879 0.163
O8 0.082 0.044 0.050
O9 0.138 0.254 0.176
O10 0.177 0.283 0.878
O11 0.210 0.003 0.735
O12 0.232 0.062 0.936
O13 0.254 0.138 0.676
O14 0.283 0.177 0.378
O15 0.283 0.283 0.055
O16 0.283 0.283 0.555
O17 0.292 0.648 0.969
O18 0.313 0.318 0.848
O19 0.318 0.313 0.348
O20 0.329 0.443 0.507
O21 0.373 0.442 0.293
O22 0.377 0.548 0.638
O23 0.417 0.769 0.329
O24 0.442 0.373 0.793
O25 0.443 0.329 0.007
O26 0.480 0.822 0.128
O27 0.507 0.620 0.601
O28 0.512 0.518 0.320
O29 0.518 0.512 0.820
O30 0.548 0.377 0.138
O31 0.596 0.722 0.447
O32 0.620 0.507 0.101
O33 0.648 0.292 0.469
O34 0.669 0.804 0.577
O35 0.687 0.741 0.790
O36 0.722 0.596 0.947
O37 0.741 0.687 0.290
O38 0.769 0.417 0.829
O39 0.782 0.830 0.240
O40 0.804 0.669 0.077
O41 0.822 0.480 0.628
O42 0.830 0.782 0.740
O43 0.831 0.953 0.221
O44 0.840 0.845 0.038
O45 0.845 0.840 0.538
O46 0.857 0.003 0.914
O47 0.879 0.069 0.663
O48 0.953 0.831 0.721
```

Output
Space-group type: Cc (9)

Record 4
Here is crystalline K2InAsI6 at its relaxed geometry from the Materials Project database. Energies are from PBE-GGA.